Atheism Quotes

Text Quotes
Atheism, a religion dedicated to its own sense of smug superiority (Atheism Quotes)
I oscillate between agnosticism and atheism (Atheism Quotes)
My personal feeling is that understanding evolution led me to atheism (Atheism Quotes)
The equal toleration of all the same as atheism. (Atheism Quotes)
Atheism shows strength of mind, but only to a certain degree (Atheism Quotes)
Atheism is the vice of a few intelligent people (Atheism Quotes)
All worry is atheism, because it is a want of trust in God (Atheism Quotes)
Atheism is rather in the lip, than in the heart of man (Atheism Quotes)
Among the repulsions of atheism for me has been its drastic uninterestingness as an intellectual position. Where was the ingenuity, the ambiguity, the humanity (in the Harvard sense) of saying that the universe just happened to happen and that when we're dead we're dead? (Atheism Quotes)
Atheism is nothing more than the noises reasonable people make when in the presence of religious dogma (Atheism Quotes)
Atheism. There is not a single exalting and emancipating influence that does not in turn become inhibitory (Atheism Quotes)
Misplaced data records
Below is a geometry-optimized Ti3Nb4Re2 structure, with properties calculated at the PBE-GGA level.

Properties
Fermi-level density of states ... 1.335 states/eV/atom
Calculated formation energy ... -119 kJ/mol of formula units
Electronic total energy ... -90.09 eV/f.u.

Cell lengths 7.0378, 7.0378, 7.2458 Å; angles 106.67, 106.67, 26.15 degrees
Element x y z (fractional)
1 Ti 0.0000 0.0000 0.0000
2 Ti 0.1155 0.1155 0.6917
3 Ti 0.8845 0.8845 0.3083
4 Nb 0.2178 0.2178 0.3236
5 Nb 0.4462 0.4462 0.6637
6 Nb 0.5538 0.5538 0.3363
7 Nb 0.7822 0.7822 0.6764
8 Re 0.3309 0.3309 0.9971
9 Re 0.6691 0.6691 0.0029

* * * * *

[1]
VASP calculation (GGA-PBE) on a relaxed structure of Sm2Zn2Co2C.

- Density: 7.70 Mg/m³
- ΔH_f (0 K): -0.25 eV per atom

a = 10.909 Å, b = 4.031 Å, c = 7.131 Å
α = 90.00°, β = 129.44°, γ = 90.00°
Space group C2/m (No. 12)
Asymmetric unit:
Sm1 0.053 0.000 0.284 x4
Zn1 0.159 0.500 0.710 x4
Co1 0.191 0.500 0.086 x4
C1 0.000 0.500 0.000 x2

***

[2]
VASP calculation (GGA-PBE) on a relaxed structure of Sm2ZnCoC.

- Density: 7.53 Mg/m³
- ΔH_f (0 K): -0.29 eV per atom

a = 5.151 Å, b = 5.151 Å, c = 3.634 Å
α = 90.00°, β = 90.00°, γ = 90.00°
Space group P4/mmm (No. 123)
Asymmetric unit:
Sm1 0.000 0.500 0.000 x2
Zn1 0.000 0.000 0.500 x1
Co1 0.500 0.500 0.500 x1
C1 0.500 0.500 0.000 x1

***

[3]
VASP calculation (GGA-PBE) on a relaxed structure of CoSnC3.

- Density: 6.15 Mg/m³
- ΔH_f (0 K): 2.01 eV per atom
- Energy relative to the lowest polymorph listed for this composition: 0 meV per atom

a = 3.865 Å, b = 3.865 Å, c = 3.865 Å
α = 90.00°, β = 90.00°, γ = 90.00°
Space group Pm-3m (No. 221)
Asymmetric unit:
Co1 0.000 0.000 0.000 x1
Sn1 0.500 0.500 0.500 x1
C1 0.000 0.000 0.500 x3

***

[4]
VASP calculation (GGA-PBE) on a relaxed structure of Co2SnC.

- Density: 8.39 Mg/m³
- ΔH_f (0 K): 1.21 eV per atom
- Energy relative to the lowest polymorph listed for this composition: 797 meV per atom

a = 5.816 Å, b = 5.816 Å, c = 5.816 Å
α = 90.00°, β = 90.00°, γ = 90.00°
Space group Fm-3m (No. 225)
Asymmetric unit:
Co1 0.250 0.250 0.250 x8
Sn1 0.000 0.000 0.000 x4
C1 0.000 0.000 0.500 x4

***

[5]
VASP calculation (GGA-PBE) on a relaxed structure of CoSnC2.

- Density: 6.41 Mg/m³
- ΔH_f (0 K): 1.00 eV per atom

a = 4.741 Å, b = 4.741 Å, c = 9.293 Å
α = 90.00°, β = 90.00°, γ = 90.00°
Space group I-42d (No. 122)
Asymmetric unit:
Co1 0.000 0.000 0.000 x4
Sn1 0.000 0.000 0.500 x4
C1 0.184 0.250 0.125 x8

***

[6]
VASP calculation (GGA-PBE) on a relaxed structure of CoSn3C.

- Density: 6.96 Mg/m³
- ΔH_f (0 K): 1.17 eV per atom
- Energy relative to the lowest polymorph listed for this composition: 0 meV per atom

a = 4.670 Å, b = 4.670 Å, c = 4.670 Å
α = 90.00°, β = 90.00°, γ = 90.00°
Space group Pm-3m (No. 221)
Asymmetric unit:
Co1 0.000 0.000 0.000 x1
Sn1 0.000 0.500 0.500 x3
C1 0.500 0.500 0.500 x1

***

Copy entry 2 word for word.
VASP calculation (GGA-PBE) on a relaxed structure of Sm2ZnCoC.

- Density: 7.53 Mg/m³
- ΔH_f (0 K): -0.29 eV per atom
Back to the page
Religion has two principal enemies, fanaticism and infidelity, or that which is called atheism. The first requires to be combated by reason and morality, the other by natural philosophy (Atheism Quotes)
My atheism, like that of Spinoza, is true piety towards the universe and denies only gods fashioned by men in their own image, to be servants of their human interests (Atheism Quotes)
I'm an atheist, but I'm very relaxed about it. I don't preach my atheism, but I have a huge amount of respect for people like Richard Dawkins who do (Atheism Quotes)
A little philosophy inclineth man's mind to atheism, but depth in philosophy bringeth men's minds about to religion (Atheism Quotes)
To be an atheist requires an indefinitely greater measure of faith than to recieve all the great truths which atheism would deny (Atheism Quotes)
The only theism worthy of our respect believes in God not because of the way the world is made but in spite of that. The only theism that is no less profound than the Buddha's atheism is that represented in the Bible by Job and Jeremiah (Atheism Quotes)
To sustain the belief that there is no God, atheism has to demonstrate infinite knowledge. Because their declaration is tantamount to saying, I have infinite knowledge that there is no being in existence with infinite knowledge (Atheism Quotes)
The very idea of carrying my memory into eternity devastated me, and I took refuge in atheism (Atheism Quotes)
There is no being eloquent for atheism. In that exhausted receiver the mind cannot use it's wings, the clearest proof that it is out of it's element (Atheism Quotes)
Atheism, nine times out of ten, is born from the womb of a bad conscience. Disbelief is born of sin, not of reason (Atheism Quotes)
Atheism cheapens everything it touches - look at the results of communism, the most powerful form of atheism on earth (Atheism Quotes)
Atheism is cheap on people, because it snobbishly says nine out of ten people through history have been wrong about God and have had a lie at the core of their hearts (Atheism Quotes)
All theory of modernity in sociology suggests that the more modernity there is, the less religion. In my theory we can realize that this is wrong: atheism is only one belief system among many (Atheism Quotes)
The major obstacle to a religious renewal is the intellectual classes, who are highly influential and tend to view religion as primitive superstition. They believe that science has left atheism as the only respectable intellectual stance (Atheism Quotes)
____________
[1]
Material: Pa2Pd2PbS6
Method: DFT, PBE-GGA
State: relaxed

The uncorrected formation energy comes out at -1.10 eV per atom. For the volume, the calculation gives 24.5 A^3/atom. For the calculated total energy, the calculation gives -6.36 eV/atom.

It has space group P-1 (No. 2), with a = 6.9907 Å, b = 7.0184 Å, c = 7.3866 Å, α = 62.66°, β = 62.03° and γ = 62.05°. The asymmetric unit holds Pa at (0.1687, 0.1664, 0.4983), Pd at (0.0635, 0.7020, 0.8584), Pb at (0.5000, 0.5000, 0.5000), S at (0.0400, 0.4264, 0.7409), S at (0.2182, 0.9381, 0.2639) and S at (0.4114, 0.7979, 0.7372).

=====

[2]
Material: AlCrGaAu2
Method: DFT, PBE-GGA
State: relaxed

For the volume, the calculation gives 24.3 A^3/atom. For the calculated total energy, the calculation gives -3.91 eV/atom.

It has space group P4/mmm (No. 123), with a = 5.0324 Å, b = 5.0324 Å, c = 4.8043 Å, α = 90.00°, β = 90.00° and γ = 90.00°. The asymmetric unit holds Al at (0.0000, 0.0000, 0.0000), Cr at (0.0000, 0.0000, 0.5000), Ga at (0.5000, 0.5000, 0.0000) and Au at (0.0000, 0.5000, 0.5000).

=====

[3]
Material: Cu2Hg3Pd7
Method: DFT, PBE-GGA
State: relaxed

For the volume, the calculation gives 16.3 A^3/atom. For the calculated total energy, the calculation gives -3.91 eV/atom.

It has space group C2/m (No. 12), with a = 5.9359 Å, b = 7.3661 Å, c = 9.4151 Å, α = 90.00°, β = 108.13° and γ = 90.00°. The asymmetric unit holds Cu at (0.1687, 0.0000, 0.3355), Hg at (0.0000, 0.0000, 0.0000), Hg at (0.1665, 0.5000, 0.3350), Pd at (0.0000, 0.2487, 0.5000), Pd at (0.0000, 0.5000, 0.0000) and Pd at (0.1643, 0.2499, 0.8278).

=====

[4]
Material: CeSb2Rh7
Method: DFT, PBE-GGA
State: relaxed

The uncorrected formation energy comes out at -0.41 eV per atom. For the volume, the calculation gives 17.8 A^3/atom. For the calculated total energy, the calculation gives -6.97 eV/atom.

It has space group I4/mmm (No. 139), with a = 4.1721 Å, b = 4.1721 Å, c = 20.5048 Å, α = 90.00°, β = 90.00° and γ = 90.00°. The asymmetric unit holds Ce at (0.0000, 0.0000, 0.0000), Sb at (0.0000, 0.0000, 0.3258), Rh at (0.0000, 0.0000, 0.5000), Rh at (0.0000, 0.5000, 0.0960) and Rh at (0.0000, 0.5000, 0.2500).

=====

[5]
Material: Rb2TiBiF6
Method: DFT, PBE-GGA
State: relaxed

The uncorrected formation energy comes out at -2.61 eV per atom. For the volume, the calculation gives 21.6 A^3/atom. For the calculated total energy, the calculation gives -5.11 eV/atom.

It has space group I4/mmm (No. 139), with a = 6.1854 Å, b = 6.1854 Å, c = 11.3049 Å, α = 90.00°, β = 90.00° and γ = 90.00°. The asymmetric unit holds Rb at (0.0000, 0.5000, 0.2500), Ti at (0.0000, 0.0000, 0.0000), Bi at (0.0000, 0.0000, 0.5000), F at (0.0000, 0.0000, 0.1702) and F at (0.2305, 0.2305, 0.0000).

=====

[6]
Material: RbCr2Rh
Method: DFT, PBE-GGA
State: relaxed

For the volume, the calculation gives 33.3 A^3/atom. For the calculated total energy, the calculation gives -5.81 eV/atom.
____________
We aim in the domain of politics at republicanism; in the domain of economics at socialism; in the domain of what is today called religion, at atheism (Atheism Quotes)
Because morality is a social necessity, the moment faith in God is banished, man’s gaze turns from God to man and he becomes socially conscious. Religious belief prevented the growth of a sense of realism. But atheism at once makes man realistic and alive to the needs of morality (Atheism Quotes)
Yes, I do not like people saying that atheism is based on science, because it’s not. It’s an alien invasion of science (Atheism Quotes)
Atheism tells him what he isn’t, and like all of us he yearns to know what he is (Atheism Quotes)
I’ve sworn off agnosticism, which I now call cowardly atheism. I’ve come to the position that in the complete absence of any supporting data whatsover for the persistence of the individual in some spiritual form, it is necessary to operate under the provisional conclusion that there is no afterlife and then be ready to amend that if I find out otherwise (Atheism Quotes)